Listing:
17
Properties=species:S:1:pos:R:3:forces:R:3:mulliken_charge:R:1 method="wB97M-V/def2-TZVPD" relative_energy_ev=2.752 fmax_ev_per_a=3.63 spin_multiplicity=1 mol_weight_g_mol=119.6 e_lumo_ha=0.0336
Cl -2.0662 -2.0892 -1.8745 -0.3486 -0.1830 0.5420 -0.1576
N -0.7533 -1.0313 -2.1752 0.7549 1.4128 2.0242 -0.4090
C 0.8425 0.5776 -1.7837 -0.0612 -0.0835 -0.3627 -1.1149
C 0.9663 0.7071 1.1826 0.0227 0.1181 -0.1867 -1.4198
C -1.0167 -0.8268 1.4501 -0.1311 0.1800 0.0206 -1.3420
C -0.3903 0.3102 0.6795 -0.6751 -1.8807 -3.0285 0.5204
C -0.2645 -0.2732 -1.2350 0.0819 0.3691 0.6876 0.5018
H 1.3980 1.5332 0.6254 0.0561 0.0381 -0.0014 0.3684
H 1.6590 -0.1315 1.1755 0.0586 -0.0652 0.0018 0.3329
H 0.6143 1.6322 -1.6301 0.0695 0.0710 0.0824 0.2860
H -1.0585 1.1554 0.5418 -0.0524 0.0257 -0.0133 0.3078
H 0.8532 1.0382 2.2176 -0.0182 -0.0222 0.0588 0.4085
H -0.3070 -1.6440 1.5687 0.0109 -0.0552 0.0055 0.3087
H -1.9013 -1.2092 0.9482 -0.0363 -0.0016 0.0280 0.3619
H -1.3086 -0.4791 2.4453 0.0320 -0.0475 0.0483 0.3980
H 1.7759 0.3398 -1.2867 0.2034 0.0717 0.1102 0.2862
H 0.9573 0.3906 -2.8496 0.0326 0.0523 -0.0169 0.3627



18
Properties=species:S:1:pos:R:3:forces:R:3:mulliken_charge:R:1 method="wB97M-V/def2-TZVPD" charge=+1 relative_energy_ev=0.000 fmax_ev_per_a=3.25 spin_multiplicity=1 mol_weight_g_mol=133.6 e_lumo_ha=-0.1162
Cl -1.0085 -1.0006 -2.7704 0.1082 -0.2011 0.3026 -0.1410
N -0.2258 0.4281 0.6000 -0.0826 -0.0864 -0.0083 -0.0729
N 1.1515 0.6318 -1.0689 0.1194 -0.0170 -0.1773 -0.1401
C -0.4821 -1.4538 -1.1080 1.4231 2.3192 -0.0983 0.4434
C 1.4590 1.8006 -0.2442 0.3466 0.5732 0.1518 -0.4645
C 0.4682 1.6631 0.9329 0.0979 0.4986 0.3374 -0.4481
C -1.6267 -1.9829 -0.2902 0.0008 -0.0007 -0.0832 -1.4904
C 0.1959 -0.0762 -0.5343 -1.7534 -2.7147 -0.2945 0.0993
H -2.0123 -2.8687 -0.7938 0.0011 0.0147 0.0540 0.3805
H -0.9778 0.0489 1.1534 0.0424 -0.1058 -0.1333 0.2226
H -0.2435 2.4920 0.9877 0.1512 -0.1141 -0.0437 0.3051
H -2.4391 -1.2651 -0.2215 -0.0797 0.0910 0.0261 0.4097
H -1.2937 -2.2824 0.7000 0.0476 -0.0366 0.1487 0.3721
H 0.9658 1.5704 1.9020 -0.0236 0.0250 -0.1901 0.3081
H 1.3014 2.7224 -0.8107 0.0305 -0.1750 0.0647 0.3129
H 2.5004 1.7638 0.0836 -0.1419 0.0163 -0.0436 0.3081
H 1.5896 0.4628 -1.9608 -0.1733 -0.1953 -0.0201 0.2159
H 0.3297 -2.1777 -1.2110 -0.1143 0.1086 0.0070 0.3793



19
Properties=species:S:1:pos:R:3:forces:R:3:mulliken_charge:R:1 method="wB97M-V/def2-TZVPD" relative_energy_ev=3.574 fmax_ev_per_a=4.76 spin_multiplicity=1 mol_weight_g_mol=151.6 e_lumo_ha=0.0275
Cl -0.9388 1.8954 1.0670 0.0620 0.6895 0.4569 -0.2090
O 1.7386 0.2727 1.2801 2.4034 -2.9341 -1.8239 -0.4177
O 0.3745 -0.0800 -1.9826 -0.1661 -0.2947 -0.5354 -0.5896
N 1.5770 0.1007 -0.1280 1.7088 0.3476 1.8597 0.2326
C 0.4427 0.0567 -0.7956 -3.4334 0.7920 1.6613 0.5985
C -2.2454 0.5053 -0.8439 2.0777 -0.4052 0.7286 -1.5741
C -1.3531 -0.7281 1.1955 -3.6153 -1.1143 2.3178 -1.1909
C 2.8651 -0.3276 -0.5814 2.7282 -0.6958 -2.1508 -0.8557
C -1.1927 0.3529 0.2549 3.0668 0.8253 -3.5410 0.7339
H -1.8994 1.2076 -1.5755 0.2463 -0.0565 -0.6635 0.3455
H 3.5148 0.4014 -1.2220 -1.6718 -0.6624 1.0840 0.2535
H -2.4290 -0.4716 -1.1885 0.2813 -1.2638 -1.2854 0.3861
H -1.5358 -1.6857 0.6874 0.7504 0.1239 0.1346 0.3288
H 1.0936 0.7993 1.6188 -3.3388 2.8197 1.0690 0.2823
H -3.2054 0.7819 -0.5776 -1.8037 1.0996 1.4909 0.4778
H -0.6985 -0.7781 2.0915 -0.1590 -0.0479 -1.0001 0.2634
H 2.8503 -1.2710 -1.2453 -0.3875 1.3120 1.2703 0.2708
H 3.4869 -0.4927 0.3297 -0.6603 -0.1829 -0.8225 0.3348
H -2.4456 -0.5393 1.6155 1.9108 -0.3521 -0.2508 0.3289



18
Properties=species:S:1:pos:R:3:forces:R:3:mulliken_charge:R:1 method="wB97M-V/def2-TZVPD" relative_energy_ev=3.320 fmax_ev_per_a=5.20 spin_multiplicity=1 mol_weight_g_mol=151.7 e_lumo_ha=0.0243
Cl -2.7575 -1.4712 -1.1640 0.3063 0.3321 -0.0441 -0.1585
S -4.3767 2.0438 0.2782 1.1629 2.4835 -2.5192 -0.2287
N -0.8950 0.2539 -0.4929 1.7326 -0.5443 0.0129 0.1957
C 0.0483 0.2579 0.2492 -0.3518 0.1662 0.8135 -0.6139
Job:
Start at the top of the calculation results further above and print each line, ending with the one that has "1.6590 -0.1315".
Written answer:
17
Properties=species:S:1:pos:R:3:forces:R:3:mulliken_charge:R:1 method="wB97M-V/def2-TZVPD" relative_energy_ev=2.752 fmax_ev_per_a=3.63 spin_multiplicity=1 mol_weight_g_mol=119.6 e_lumo_ha=0.0336
Cl -2.0662 -2.0892 -1.8745 -0.3486 -0.1830 0.5420 -0.1576
N -0.7533 -1.0313 -2.1752 0.7549 1.4128 2.0242 -0.4090
C 0.8425 0.5776 -1.7837 -0.0612 -0.0835 -0.3627 -1.1149
C 0.9663 0.7071 1.1826 0.0227 0.1181 -0.1867 -1.4198
C -1.0167 -0.8268 1.4501 -0.1311 0.1800 0.0206 -1.3420
C -0.3903 0.3102 0.6795 -0.6751 -1.8807 -3.0285 0.5204
C -0.2645 -0.2732 -1.2350 0.0819 0.3691 0.6876 0.5018
H 1.3980 1.5332 0.6254 0.0561 0.0381 -0.0014 0.3684
H 1.6590 -0.1315 1.1755 0.0586 -0.0652 0.0018 0.3329